Office of the Associate Provost, Texas Woman's University ... Office of the Associate Provost, Texas Woman's University. They are intolerant of delays ...
Shree Hari is one of the leading jewellery brands in India that deals with a wide array of jewellery products, such as imitation, artificial, gold-plated, and costume jewellery. We are in this business for a long time and we cater to various age-group, preferably millenials.
Inserted here: crystal structures:
____________
1.
This record from the Materials Project describes a geometry-optimized Th2B15 structure. The functional is GGA-PBE.

Cell lengths 4.118, 4.118, 20.584 Å; angles 90.00, 90.00, 90.00 degrees
Sites, in units of the cell vectors:
B: 0.500 0.799 0.101
B: 0.198 0.500 0.500
B: 0.500 0.500 0.040
B: 0.500 0.799 0.899
B: 0.500 0.500 0.839
B: 0.198 0.500 0.700
B: 0.802 0.500 0.700
B: 0.500 0.201 0.899
B: 0.500 0.500 0.240
B: 0.500 0.500 0.361
B: 0.500 0.500 0.161
B: 0.799 0.500 0.899
B: 0.500 0.802 0.300
B: 0.799 0.500 0.101
B: 0.500 0.198 0.700
B: 0.500 0.500 0.440
B: 0.500 0.802 0.500
B: 0.802 0.500 0.300
B: 0.201 0.500 0.899
B: 0.500 0.500 0.560
B: 0.500 0.500 0.639
B: 0.500 0.198 0.300
B: 0.500 0.500 0.960
B: 0.500 0.500 0.760
B: 0.802 0.500 0.500
B: 0.500 0.201 0.101
B: 0.198 0.500 0.300
B: 0.201 0.500 0.101
B: 0.500 0.198 0.500
B: 0.500 0.802 0.700
Th: 0.000 0.000 0.804
Th: 0.000 0.000 0.399
Th: 0.000 0.000 0.601
Th: 0.000 0.000 0.196

The calculation puts the total energy at -7.157 eV/atom. The value obtained for the formation energy from the elements is -0.3914 eV per atom. The space group is P4/mmm.


2.
This record from the Materials Project describes a geometry-optimized ThVB4 structure. The functional is GGA-PBE.

Cell lengths 6.088, 6.088, 3.670 Å; angles 90.00, 90.00, 104.35 degrees
Sites, in units of the cell vectors:
B: 0.624 0.933 0.500
B: 0.367 0.367 0.500
B: 0.067 0.376 0.500
B: 0.376 0.067 0.500
B: 0.911 0.089 0.500
B: 0.089 0.911 0.500
B: 0.933 0.624 0.500
B: 0.633 0.633 0.500
Th: 0.302 0.698 0.000
Th: 0.698 0.302 0.000
V: 0.838 0.838 0.000
V: 0.162 0.162 0.000

The calculation puts the total energy at -7.873 eV/atom. The value obtained for the formation energy from the elements is -0.6704 eV per atom. The space group is Cmmm.


3.
This record from the Materials Project describes a geometry-optimized ThB4W structure. The functional is GGA-PBE.

Cell lengths 6.126, 6.126, 3.766 Å; angles 90.00, 90.00, 104.23 degrees
Sites, in units of the cell vectors:
B: 0.377 0.064 0.500
B: 0.910 0.090 0.500
B: 0.936 0.623 0.500
B: 0.090 0.910 0.500
B: 0.064 0.377 0.500
B: 0.372 0.372 0.500
B: 0.623 0.936 0.500
B: 0.628 0.628 0.500
W: 0.172 0.172 0.000
W: 0.828 0.828 0.000
Th: 0.302 0.698 0.000
Th: 0.698 0.302 0.000

The calculation puts the total energy at -8.390 eV/atom. The value obtained for the formation energy from the elements is -0.5418 eV per atom. The space group is Cmmm.

* * * * *

Material: HoCu3S3
Method: DFT, r2SCAN
State: relaxed

Structure (CIF):
```
data_HoCu3S3
_cell_length_a 7.3954
_cell_length_b 7.3954
_cell_length_c 7.3954
_cell_angle_alpha 53.34
_cell_angle_beta 53.34
_cell_angle_gamma 53.34
_space_group_name_H-M_alt 'P 1'
_space_group_IT_number 1
_space_group_name_Hall 'P 1'
loop_
_atom_site_label
_atom_site_type_symbol
_atom_site_fract_x
_atom_site_fract_y
_atom_site_fract_z
Ho1 Ho 0.8335 0.8335 0.8335
Ho2 Ho 0.1665 0.1665 0.1665
Cu1 Cu 0.2818 0.9640 0.6239
Cu2 Cu 0.6239 0.2818 0.9640
Cu3 Cu 0.9640 0.6239 0.2818
____________
Every cuisine has its own story and that is nothing but a tale of health and taste. Our country carries the greatest legacy of food culture that has quality. However, generation presently or the millenials as we call them, may be unaware of food habits that are rich. See More:
Mini Cooper is one of the most sought-after luxury cars among the Millenials due to its superior performance and advanced features. However, off late the drivers of Mini Cooper have been complaining about the faulty gearbox in their car. The gearbox is an important part of the transmission system in your Mini Cooper. There are various components in the gearbox and their failure can cause several problems. Go through the to know the ways to deal with gearbox problems in Mini Cooper.
[11:52] i would liek to know how to source a website, just ... (hint: 'MSN' and 'chat' are more widely used by Canadian millenials! ...
Mathematics is all about thoroughly understanding the concepts and practices. Students can understand all the concepts of Maths in a much better way with the help of Extramarks, the online learning portal for the Millenials. This portal has various effective study materials as well as CBSE Class 8 Maths Sample Papers that will help them to do well in their upcoming exams.
ISC is the provincial Crown Corporation responsible for the administration of ... Baby Boomers (1947-61) Gen X (1961-74) Millenials, Gen Y, Net Gen, Nexus (after 1974) ...
The Millennial Reign of Peace The Lord shall be king over all the earth, and his name one. Bible Lecture MILLENIAL PEACE The Millennial Reign of Peace The ...
The 'invisible tapestry' that weaves together parts of an organization ... Credentialism and careerism 'What's in it for me'? NetGen/Millenials' priorities ...
With the value of the American dollar plummeting, and student loan rates at an all time high, saving money is less of a recommendation and more of a necessity for Millenials. Many experts insist that young professionals put away at least a third of their income in order to adequately prepare them for the future.
Generation marketing is exactly what the name suggests. It is when a business markets products and services to a specific generation such as Baby Boomers, Gen X, and Millenials. Part of your marketing plan involves knowing your Audience and sometimes that means knowing characteristics of a whole generation or a mix of generations. Blockchain based lending and cryptocurrencies may offer solutions to many financial issues faced by millennials. Could this be the end for banking as we know it? Purchase our Etherecash token through our ICO from November 15th 2017. Developed on the ERC20 blockchain technology with lawyer backed contracts, to make blockchain backed lending and fund management, private and seamless. Buy our tokens now. Visit
President Bush said his administration is 'deeply concerned about the ... 1946-64 Baby Boom 4.0. 1965-80 GenX 3.3. 1980-2003 Millenials 4.0 General Personalities ...
Marketing to Millennials – with Ryan Jenkins By 2015, millenials – those born in the 80’s and 90’s – will be responsible for more buying decisions than any other group out there. In this episode, Ryan Jenkins and I talked about why millenials are so different from any other generation, what’s important to them, and how to market to them. I thought this was a fascinating look into the worldview of millenials and learned a lot, even as a millenial myself.
Pearls have become a fashion trend among some of the hottest millenial celebrities on the scene. Pearl jewelry is one of the most timeless pieces of jewelry money can buy, and people all over the world love them because of the classic aesthetic they possess. Now below we represent some of your favourite celebrities have brought new life to pearl jewelry
Represent people 'moving through time' with a distinct image of themselves ... Teens of Columbine. What has SHAPED their times? Focus on children and family ...
Great managers inspire talented people to stay with a company. Read about our manager performance assessments strategy for selecting the best manager for your company.
Between two parts of the text: data records.
-- begin --
# 1
Li2SnH10O8: optimized geometry, PBE.

M_tot: 0.0 μB/cell
Formation energy: -1.551 eV per atom
Offset from the most stable computed form: 7 meV per atom

Unit cell a=7.0709 b=5.0634 c=10.6506 alpha=70.80 beta=90.00 gamma=90.00
With the nearest neighbours (Å) after each atom.
Element x y z (fractional)
Li 0.7745 0.3792 0.6774  4 O 1.95-2.01
Li 0.7255 0.3792 0.1774  4 O 1.95-2.01
Li 0.2255 0.6208 0.3226  4 O 1.95-2.01
Li 0.2745 0.6208 0.8226  4 O 1.95-2.01
Sn 0.5000 0.0000 0.5000  6 O 2.09-2.12
Sn 0.0000 0.0000 0.0000  6 O 2.09-2.12
H 0.8263 0.8998 0.6025  1 O 0.99
H 0.6737 0.8998 0.1025  1 O 0.99
H 0.1737 0.1002 0.3975  1 O 0.99
H 0.3263 0.1002 0.8975  1 O 0.99
H 0.4488 0.3432 0.6378  1 O 1.00
H 0.0512 0.3432 0.1378  1 O 1.00
H 0.5512 0.6568 0.3622  1 O 1.00
H 0.9488 0.6568 0.8622  1 O 1.00
H 0.2173 0.6718 0.5853  1 O 0.98
H 0.2827 0.6718 0.0853  1 O 0.98
H 0.7827 0.3282 0.4147  1 O 0.98
H 0.7173 0.3282 0.9147  1 O 0.98
H 0.0247 0.0545 0.7065  1 O 1.01
H 0.4753 0.0545 0.2065  1 O 1.01
H 0.9753 0.9455 0.2935  1 O 1.01
H 0.5247 0.9455 0.7935  1 O 1.01
H 0.0946 0.2222 0.5541  1 O 1.00
H 0.4054 0.2222 0.0541  1 O 1.00
H 0.9054 0.7778 0.4459  1 O 1.00
H 0.5946 0.7778 0.9459  1 O 1.00
O 0.7480 0.7732 0.5708  1 H 0.99
O 0.7520 0.7732 0.0708  1 H 0.99
O 0.2520 0.2268 0.4292  1 H 0.99
O 0.2480 0.2268 0.9292  1 H 0.99
O 0.5390 0.1868 0.6467  1 H 1.00
O 0.9610 0.1868 0.1467  1 H 1.00
O 0.4610 0.8132 0.3533  1 H 1.00
O 0.0390 0.8132 0.8533  1 H 1.00
O 0.3357 0.6771 0.6324  1 H 0.98
O 0.1643 0.6771 0.1324  1 H 0.98
O 0.6643 0.3229 0.3676  1 H 0.98
O 0.8357 0.3229 0.8676  1 H 0.98
O 0.9887 0.2017 0.6194  2 H 1.00-1.01
O 0.5113 0.2017 0.1194  2 H 1.00-1.01
O 0.0113 0.7983 0.3806  2 H 1.00-1.01
O 0.4887 0.7983 0.8806  2 H 1.00-1.01

---

# 2
Li2SnH6O6: optimized geometry, PBE.

M_tot: 0.0 μB/cell
Formation energy: -1.663 eV per atom

Unit cell a=5.2310 b=5.6332 c=10.0886 alpha=90.00 beta=114.10 gamma=90.00
With the nearest neighbours (Å) after each atom.
Element x y z (fractional)
Li 0.0636 0.7305 0.6581  4 O 1.96-2.08
Li 0.0636 0.7695 0.1581  4 O 1.96-2.08
Li 0.9364 0.2695 0.3419  4 O 1.96-2.08
Li 0.9364 0.2305 0.8419  4 O 1.96-2.08
Sn 0.5000 0.0000 0.0000  6 O 2.08-2.12
Sn 0.5000 0.5000 0.5000  6 O 2.08-2.12
H 0.0033 0.8225 0.8794  1 O 0.99
H 0.0033 0.6775 0.3794  1 O 0.99
H 0.9967 0.1775 0.1206  1 O 0.99
H 0.9967 0.3225 0.6206  1 O 0.99
H 0.3331 0.4207 0.0626  1 O 0.99
H 0.3331 0.0793 0.5626  1 O 0.99
H 0.6669 0.5793 0.9374  1 O 0.99
H 0.6669 0.9207 0.4374  1 O 0.99
H 0.5584 0.7530 0.2309  1 O 0.98
H 0.5584 0.7470 0.7309  1 O 0.98
H 0.4416 0.2470 0.7691  1 O 0.98
H 0.4416 0.2530 0.2691  1 O 0.98
O 0.1140 0.9064 0.8342  1 H 0.99
O 0.1140 0.5936 0.3342  1 H 0.99
O 0.8860 0.0936 0.1658  1 H 0.99
O 0.8860 0.4064 0.6658  1 H 0.99
O 0.2561 0.2584 0.0488  1 H 0.99
O 0.2561 0.2416 0.5488  1 H 0.99
O 0.7439 0.7416 0.9512  1 H 0.99
O 0.7439 0.7584 0.4512  1 H 0.99
O 0.4139 0.7544 0.1308  1 H 0.98
O 0.4139 0.7456 0.6308  1 H 0.98
O 0.5861 0.2456 0.8692  1 H 0.98
-- stop --
Here the text continues.
Understanding and Communicating with the Millennial Student. Presentation for ... Be smart you are special (Nickelodeon, Baby Gap, Sports Illustrated for Kids) ...
USA has been leading the pet care market, but other countries are not far behind. This can be attributed to the fact that more people are opting to have pets and are also more aware of pet healthcare and wellness.
The trans-generational style. The Quest for survival and hope ... Sing traditional hymnal. God's promises and faithfulness. Biblical Laws. Prayer. Family Values ...
Title: The Challenge: To Create More Value in All Negotiations Author: Conflict Management, Inc. Last modified by: Tom Peters Created Date: 9/8/1995 1:29:58 PM
Where are we now? How are things changing? How do Millennials compare with other generations? ... 1999 dotcom craze. 2000 Y2K craze. 2001 dotcoms burst ...
... globally connected, service- and information-intense, digitally based culture. ... of information from the Internet and its remixing to produce new forms of ...
This online life has become an entire strategy for how to ... For Students: Webcasts; Teen Interview Podcasts, YouTube Channel. Evaluation - Self-Assessment ...
Sociology Department Retreat Friday, ... Is it strictly the technology that distinguishes the two or can either utilize the same ... Plagiarism detection Respondus ...
ReadySetPresent (Generational Differences in Today’s Workplace PowerPoint Presentation Content): 100+ PowerPoint presentation content s. Nowhere in history have we seen 4 generations in today’s workplace.
... not long-term Need fun workplace Management Tips for Gen X Managers Be more patient with poor performers Rely on more experienced personnel for advice ...
Real work teams. Treated as whole beings. Treated as friendly equals ... Disrespect for their experience. Assuming can address them by first names. Brusqueness ...
Title: The Changing American Society: Demographics and Social Stratification Author: Wesley Thoene Last modified by: Wesley Thoene Created Date: 6/6/2005 2:28:49 PM
Tailor the marketing mix (the four P's) to. meet those subgroups needs. ... Gap, Sports Illustrated for Kids, Nickelodeon (They have been appealed to , catered to) ...
Title: The Challenge: To Create More Value in All Negotiations Author: Conflict Management, Inc. Last modified by: Catherine Created Date: 9/8/1995 1:29:58 PM
Young Engineers Advisory Council Products & Services Mentoring Guidelines for small, medium and large firms Be a Mentor Be a Mentee First Year Sample Program What to ...
Project Ideas Outline. Launch Contests and Prizes. Create a Video. Theme: ... iPod Nano and iTunes gift cards. Launch Contests and Prizes. TAI Viral Holiday Card ...
Vegetarians (1) Nix certain proteins (1) ... Vegetarians 1 'Comes from animals that are humanely raised' ... Strict Vegetarians (1) Nix certain proteins (1) ...
Make Your Own Mobile Game in 60 Minutes (and have the knowledge to start your own mobile game company) Download Corona SDK and Install ...
Computers have always fit in their backpacks. The Internet is better than TV ... Be smart you are special (Nickelodeon, Baby Gap, Sports Illustrated for Kids) ...
Gain an understanding of the issues involved with having ... Developed by Garret, Kristen, Aaron and Nick (NASA) Generation Y and the War for Talent: ...
Brimming with ideals. Ideological vacuum. Traditional ideals. No brands. Emergence of brands ... Identity free from parents and authority. Identity is belonging ...